With classes predominantly online this fall, former students who’ve had to pause their studies are re-enrolling at UMBC with graduation as their goal.
When Nick Martorelli, management of aging services, originally stepped away from taking classes at UMBC in 2015 to help take care of his mother as she underwent kidney failure, he had no way of knowing that he’d ever return to his degree. He certainly couldn’t have guessed that his experience setting up his mother’s daily, overnight dialysis would offer him a leg up in his studies.

........
[1]
# SiH2SeS
Simulated X-ray diffraction stick pattern, Cu Kα, 1.54184 Å. Input: a DFT-relaxed cell (GGA-PBE, Alexandria).
Neutral-atom scattering factors, no anomalous dispersion.

Largest 12 diffraction maxima, low angle first, 15° ≤ 2θ ≤ 90°:
| d_spacing | I_rel |
| --- | --- |
| 5.568 | 61 |
| 4.854 | 100 |
| 3.586 | 19 |
| 3.115 | 22 |
| 3.052 | 29 |
| 3.038 | 17 |
| 2.994 | 39 |
| 2.933 | 21 |
| 2.868 | 15 |
| 2.521 | 16 |
| 2.238 | 14 |
| 1.774 | 15 |

Structure:
a = 3.556 Å, b = 5.837 Å, c = 6.282 Å
α = 72.71°, β = 86.45°, γ = 86.54°
Fractional coordinates of all 5 atoms:
Si: 0.000 0.000 0.000
H: 0.052 0.776 0.932
H: 0.706 0.070 0.369
Se: 0.497 0.246 0.840
S: 0.943 0.884 0.357

***

[2]
# SiHS2
Simulated X-ray diffraction stick pattern, Cu Kα, 1.54184 Å. Input: a DFT-relaxed cell (GGA-PBE, Alexandria).
Neutral-atom scattering factors, no anomalous dispersion.

Largest 12 diffraction maxima, low angle first, 15° ≤ 2θ ≤ 90°:
| d_spacing | I_rel |
| --- | --- |
| 5.580 | 20 |
| 2.990 | 17 |
| 2.775 | 100 |
| 2.755 | 54 |
| 2.368 | 37 |
| 2.359 | 24 |
| 2.229 | 25 |
| 2.065 | 58 |
| 1.861 | 29 |
| 1.823 | 18 |
| 1.682 | 19 |
| 1.540 | 18 |

Structure:
a = 8.490 Å, b = 8.490 Å, c = 8.490 Å
α = 138.76°, β = 47.88°, γ = 156.74°
Fractional coordinates of all 8 atoms:
Si: 0.000 0.000 0.000
Si: 0.000 0.500 0.500
H: 0.172 0.076 0.596
H: 0.480 0.576 0.404
S: 0.078 0.204 0.374
S: 0.443 0.751 0.192
S: 0.559 0.251 0.808
S: 0.829 0.704 0.626

***

[3]
# Si2H2S3
Simulated X-ray diffraction stick pattern, Cu Kα, 1.54184 Å. Input: a DFT-relaxed cell (GGA-PBE, Alexandria).
Neutral-atom scattering factors, no anomalous dispersion.

Largest 12 diffraction maxima, low angle first, 15° ≤ 2θ ≤ 90°:
| d_spacing | I_rel |
| --- | --- |
| 5.782 | 100 |
| 3.735 | 34 |
| 3.657 | 24 |
| 3.597 | 64 |
| 3.398 | 84 |
| 3.054 | 93 |
| 2.861 | 87 |
| 1.976 | 42 |
| 1.945 | 26 |
| 1.822 | 31 |
| 1.717 | 25 |
| 1.580 | 22 |

Structure:
a = 8.177 Å, b = 8.177 Å, c = 9.186 Å
α = 90.00°, β = 90.00°, γ = 90.00°
Fractional coordinates of all 28 atoms:
Si: 0.065 0.194 0.372
Si: 0.194 0.935 0.628
Si: 0.306 0.435 0.872
Si: 0.435 0.694 0.128
Si: 0.565 0.306 0.128
Si: 0.694 0.565 0.872
Si: 0.806 0.065 0.628
Si: 0.935 0.806 0.372
H: 0.110 0.335 0.279
H: 0.165 0.390 0.779
H: 0.335 0.890 0.721
H: 0.390 0.835 0.221
H: 0.610 0.165 0.221
H: 0.665 0.110 0.721
H: 0.835 0.610 0.779
H: 0.890 0.665 0.279
S: 0.000 0.000 0.225
S: 0.000 0.000 0.775
S: 0.139 0.722 0.500
S: 0.222 0.639 0.000
S: 0.278 0.139 0.500
S: 0.361 0.222 0.000
S: 0.500 0.500 0.275
S: 0.500 0.500 0.725
S: 0.639 0.778 0.000
S: 0.722 0.861 0.500
S: 0.778 0.361 0.000
S: 0.861 0.278 0.500

***

[4]
# SnH2S3
Simulated X-ray diffraction stick pattern, Cu Kα, 1.54184 Å. Input: a DFT-relaxed cell (GGA-PBE, Alexandria).
Neutral-atom scattering factors, no anomalous dispersion.

Largest 12 diffraction maxima, low angle first, 15° ≤ 2θ ≤ 90°:
| d_spacing | I_rel |
| --- | --- |
| 5.819 | 100 |
| 5.693 | 76 |
| 4.891 | 60 |
| 4.509 | 59 |
........

“One thing I noticed when taking care of my mom—I had to learn a lot of directions for medication and nutrition, sterilizing the room for dialysis,” says Martorelli. “I had to memorize how to set up the dialysis. You had to really be focused the whole time and after doing that for two years, now I’m a lot more focused taking classes, and I can really pick up things more quickly.”
In mid-August, Martorelli and other Retrievers who had earned at least 60 credits and were in good standing academically but were not currently enrolled in classes received an offer to return to the University to finish their remaining degree requirements. Yvette Mozie-Ross ’88, vice provost for enrollment management and planning, says a similar correspondence is sent out each semester to those close to degree completion but who remain unenrolled. But the pandemic changed one key element of their communication—like almost every other attendee, students could now return to school online.
The online incentive, says Martorelli, changed his whole perspective. Within a week of getting the mailer, Martorelli—who lives in Missouri—was signed up for a full load of classes and anticipates graduating in May 2021. The finish line is in sight.
Relying on a great support system

The summer of 2020 started one way and ended in quite another, Kelly Broderick, gender, women’s, and sexuality studies (GWST), puts it simply. Let go in June from her position as box office manager at Baltimore Center Stage due to the cancellation of their season, Broderick found herself facing a momentous birthday while questioning what life had in store for her next.
“It felt like all these universal things were dropping on me telling me I had to go back to school,” says Broderick, who only has three requirements to complete before graduation.
Within two weeks of receiving the Finish Line brochure inviting her to return to her studies, Broderick was re-enrolled and ready to finish a chapter of her life she had started in 1998 when she matriculated at Towson University immediately following high school. Broderick eventually left school to work, creating a career in retail and eventually box office management. When she first arrived at UMBC in 2012, it was as an adult learner and she worked to make a place for herself at UMBC, especially through spearheading adult scholars programming at the Women’s Center.
Throughout the process of getting signed up for classes, Broderick reached out to her old contacts in GWST and to Jess Myers, director of the Women’s Center. “She really helped me out,” says Broderick. “She helped me find a small scholarship that assisted with books and other necessities. This process is just reminding me of what a great support system UMBC has. I have all these people that are supporting me in this and it feels really good.”

What comes next are data records, not part of the text:
/*
[1]
This entry pairs a crystal structure of ScReB with its theoretical PXRD pattern. Radiation: Cu Ka. Structure: a DFT-relaxed cell (GGA-PBE, Alexandria).
Peak positions follow from Bragg's law for the DFT cell and can differ from measured ones.

Largest 10 diffraction maxima, in order of rising 2θ, 2θ = 15–90°:
d [Å]	2θ/deg	intensity
4.028	22.1	26
3.835	23.2	84
3.655	24.4	38
3.234	27.6	34
2.472	36.3	36
2.375	37.9	100
2.302	39.1	83
2.176	41.5	93
1.892	48.1	25
1.833	49.7	32

Cell and atoms:
```
ScReB
1.0
0.000 4.158 7.669
2.413 0.000 7.669
2.413 4.158 0.000
Sc Re B
4 4 4
Cartesian
0.603 1.039 0.623
0.603 1.039 3.212
4.224 7.276 12.127
4.224 7.276 14.716
1.810 1.703 5.752
3.017 3.782 9.587
1.810 4.533 5.752
3.017 6.612 9.587
1.810 3.118 3.859
1.810 3.118 7.645
3.017 5.197 7.694
3.017 5.197 11.480
```

***

[2]
This entry pairs a crystal structure of Sm2HgAu with its theoretical PXRD pattern. Radiation: Cu Ka. Structure: a DFT-relaxed cell (GGA-PBE, Alexandria).
Peak positions follow from Bragg's law for the DFT cell and can differ from measured ones.

Largest 9 diffraction maxima, in order of rising 2θ, 2θ = 15–90°:
d [Å]	2θ/deg	intensity
3.732	23.8	2
2.639	34.0	100
2.155	41.9	1
1.866	48.8	18
1.669	55.0	1
1.524	60.8	38
1.320	71.5	12
1.244	76.6	1
1.180	81.6	17

Cell and atoms:
```
Sm2HgAu
1.0
7.464 0.000 0.000
0.000 7.464 0.000
0.000 0.000 7.464
Sm Hg Au
8 4 4
Cartesian
1.866 1.866 1.866
1.866 1.866 5.598
1.866 5.598 1.866
1.866 5.598 5.598
5.598 1.866 1.866
5.598 1.866 5.598
5.598 5.598 1.866
5.598 5.598 5.598
0.000 0.000 0.000
0.000 3.732 3.732
3.732 0.000 3.732
3.732 3.732 0.000
0.000 0.000 3.732
0.000 3.732 0.000
3.732 0.000 0.000
3.732 3.732 3.732
```

***

[3]
This entry pairs a crystal structure of Tb15Tm2In2 with its theoretical PXRD pattern. Radiation: Cu Ka. Structure: a DFT-relaxed cell (GGA-PBE, Alexandria).
Peak positions follow from Bragg's law for the DFT cell and can differ from measured ones.

Largest 10 diffraction maxima, in order of rising 2θ, 2θ = 15–90°:
d [Å]	2θ/deg	intensity
3.318	26.9	17
3.194	27.9	26
3.170	28.1	24
2.874	31.1	30
2.792	32.1	62
2.776	32.2	100
2.745	32.6	56
2.477	36.3	64
1.594	57.9	19
1.585	58.2	22

Cell and atoms:
```
Tb15Tm2In2
1.0
5.491 3.170 5.749
-5.491 3.170 5.749
0.000 -6.340 5.749
Tb Tm In
15 2 2
Cartesian
-5.491 0.000 8.623
-1.605 -3.561 5.749
-2.745 1.585 2.874
-3.886 0.391 5.749
-2.634 -1.521 8.098
1.605 -3.561 5.749
-2.282 3.170 5.749
0.000 -3.042 9.149
-2.634 1.521 9.149
2.745 1.585 2.874
2.634 -1.521 8.098
0.000 3.042 8.098
3.886 0.391 5.749
2.282 3.170 5.749
2.634 1.521 9.149
0.000 0.000 5.481
0.000 0.000 11.765
0.000 0.000 1.641
0.000 0.000 15.606
```

***

[4]
This entry pairs a crystal structure of Ac4Se3O4 with its theoretical PXRD pattern. Radiation: Cu Ka. Structure: a DFT-relaxed cell (GGA-PBE, Alexandria).
Peak positions follow from Bragg's law for the DFT cell and can differ from measured ones.

Largest 10 diffraction maxima, in order of rising 2θ, 2θ = 15–90°:
d [Å]	2θ/deg	intensity
*/

After six years away from the classroom, Broderick says she’s excited to jump back into a learning environment—and receiving one of the senior completion grants offered through Mozie-Ross’s office certainly helped. “Everything has the bright and shiny factor on it again. Which is really nice,” she adds.
At the end in 2014, when Broderick paused her studies, she was dealing with some burnout, she says, and like Martorelli, her parents were facing health challenges that required her attention. “But now, I’m definitely feeling that new school excitement again, and it’s fun to be using that side of my brain again.”
“A lot of this for me is a personal thing,” says Broderick. “I just want to know I can finish my degree. Although I’ve mostly moved past the point in my career where it affects me to not have a degree, because of my experience, I’m excited to not have that be a hurdle in my future job search.”
Serving our most vulnerable students
According to Mozie-Ross, of the 2,700 former students who received the Finish Line outreach, 123 students re-enrolled. “They have busy lives,” shares Mozie-Ross, “and they don’t fit nicely and neatly into this traditional brick and mortar structure…and so to be able to announce to this audience that just about all of our courses are now online—you’re right near the finish line—they just responded. It’s like we spoke to them.”
Martorelli and Broderick back up Mozie-Ross’s data that the majority of the students to return were originally transfers. “That tells you a lot about our transfer population. They have lives, they have jobs, things get in the way…. When you think about who we are serving through this campaign, we’re serving our most vulnerable students,” says Mozie-Ross. She adds, that women and minority student populations represent a larger than expected portion of the Finish Line returnees when compared to the overall UMBC student population.
“We have an obligation to do this,” says Mozie-Ross. “This is exactly why we’re in higher ed.”
Designing a unique career trajectory
For Christopher Lee, one class stands between him and his degree, although the missing course hasn’t stopped his impressive career trajectory as a user experience (UX) professional. Now a UX content strategist for Facebook, Lee saw the Finish Line program as the perfect last step to his unique path to his diploma, and ultimately a necessary stepping stone to pursuing his master’s in library science.

For Lee, psychology, extenuating family circumstances interrupted his final requirement for his English minor. He and his mother were facing eviction from their home when he was a junior, he says, and “I was pulling from a limited amount of time and attention and effort, and naturally one thing had to give. That thing turned out to be school.”
Even with an incomplete transcript, Lee was able to make inroads in his career. He found his first job through a UMBC career fair and with that experience was able to apply for a content strategy apprenticeship in Brooklyn with the design agency Huge. Part of his takeaway from this training period was learning to understand information organization and see the relationship of different digital elements and the way the user interacts with the content. “You’re really thinking through the psychology of how people are internalizing information,” explains Lee.
Now enrolled in his final class, Public Speaking and Democratic Participation, Lee says the online format has some surprisingly successful aspects. The small group discussions in Blackboard Collaborate are often robust, says Lee, wryly noting that they have quite the current material to be working with this semester. In addition to no end of discussion topics, Lee shares that the class “has created an environment where people feel comfortable sharing their perspectives.”
At UMBC, Lee continues, “there has been no lack of people who have been supportive, who have seen the potential in me when at times it was unrealized or unseen by others. There was always a genuine concern for my well-being.”
Everyone has their own path
For Briana Lucia Capuano, social work, the online option to finish her two final degree requirements has not only made graduating while caring for her four children a possibility, it also saved her four hours of a daily commute when she was attending classes at UMBC and living in southern Maryland.
Capuano’s last semester was in spring 2019, when she found out she was pregnant with her son Lucca. “This exciting development for our family,” says Capuano, “meant that I would be taking another year away from school to care for him.”

Sharing a house during the pandemic with two school-aged children, a toddler, Lucca—who is almost one now—and a working spouse hasn’t been easy, says Capuano. “I honestly didn’t believe I’d ever get to the end, but with COVID-19 and more classes offered online, it seemed like the perfect opportunity to finish up with all I have going on.”
“If there’s one piece of advice I could give any student in college,” shares Capuano, “it’s that everyone has a different path, so don’t compare your progress to anyone else’s. Just go at your own speed, and stay positive because your goals are achievable.”
Understanding what’s at stake
Lee summarizes the Finish Line program best: “We’re growing and expanding our understanding of what it means to be successful. Despite the fact that I took a slightly different pathway to where I’m headed, and someone else might take a less winding route—I’m glad there’s a system at UMBC to support that.”

From an institutional perspective, Mozie-Ross sees so much value in having students with a range of life experience participating in the classroom experience. “I think they set the tone, and they set the standards for the academic experience because they are far more focused and grateful for the opportunity to further their education.”
Martorelli agrees with Mozie-Ross’s assessment. As a long-term caretaker, the perspective he brings to his management of aging services courses is not a hypothetical case study—it’s truly a matter of life or death. This cohort of students, emphasizes Mozie-Ross, understands that there’s something at stake.
In 2019, UMBC and the University of Baltimore were designated as Maryland’s first “age-friendly” universities for supporting non-traditionally aged students. The Finish Line program is another way UMBC is upholding its promise to encourage and advocate for students wherever they are on life’s continuum.
“It speaks to the work we’re doing to meet these diverse populations of students where they are,” concludes Mozie-Ross. “The fact is that their lives may have required that they disrupt their education for a little bit, but we’ve…leveraged this moment in time, during COVID-19, when most of our classes are online, and gone out and pulled them back in.”
Interested in pursuing your degree at UMBC or returning to your studies here? Visit our undergraduate admissions page to learn more.
Header image taken in 2018 by Marlayna Demond ’11.
Tags: Erickson School, Gender and Women's Studies, Management of Aging Services, Psychology, social work